• Material:
1.
Density functional theory data (wB97M-V/def2-TZVPD) for one molecule with the formula C19H18N2O4S at a distorted geometry.

multiplicity = 1
SMILES = Cc1ccc(N(CC(=O)O)c2sc(=O)n(-c3ccc(C)cc3)c2O)cc1

The geometry in XYZ format:
```
44
Properties=species:S:1:pos:R:3:forces:R:3
H -4.3948 -1.5155 -2.2579 0.9 1.2 0.3
H 3.7976 -0.8770 -1.5729 0.0 -0.2 -0.4
C -6.5566 2.5401 -1.9593 1.0 -0.3 -1.0
H -6.3158 -0.0681 -2.2961 0.6 0.4 0.2
H 2.3596 -0.2887 4.6388 -0.4 -0.1 0.7
O -2.4502 -2.0741 -3.7083 1.2 1.0 0.1
H 3.3417 -2.5403 -1.7824 0.8 -1.3 0.3
C -2.7734 1.6104 -1.6316 -3.1 -4.8 -1.0
H 0.8043 -2.9228 2.9818 -0.9 -1.6 0.8
H 1.6191 -1.8716 4.9847 -0.5 -0.6 0.7
C -5.2188 1.7532 -1.8900 -1.5 -0.2 -0.3
H 0.9080 0.4440 -0.1412 -1.1 -0.2 -0.4
C 3.0370 -1.5520 -1.9929 1.0 -0.4 2.6
C 2.7987 -0.3273 2.2309 0.7 -1.4 -2.5
C -0.4747 -0.3658 -1.2846 3.5 -1.7 -2.3
C -5.3419 0.4077 -2.0841 0.7 -1.9 -0.1
H -7.3683 1.9776 -2.4704 0.7 -0.1 0.6
C 1.2588 -2.2935 0.9868 -0.6 -1.6 -0.7
C -2.9157 0.2072 -1.8945 -1.5 -0.7 -0.2
C 0.5671 -1.1934 -1.7653 -2.3 0.5 1.2
H -6.8723 2.8150 -0.9710 -0.3 0.3 0.4
O 3.0042 -2.5910 -4.1694 0.0 1.7 0.2
C 1.3996 -2.3516 2.3553 1.1 2.4 -1.0
H -1.8625 1.9550 -1.3888 3.0 1.6 0.6
C 1.9451 -1.3758 0.1981 0.6 -0.6 1.1
N 1.8336 -1.3834 -1.1784 -1.6 0.9 -2.7
C -3.9480 2.2678 -1.6312 -1.7 0.2 -0.3
N -1.7594 -0.5845 -2.0417 4.1 -0.1 1.2
C 2.7653 -0.4390 0.7885 -0.1 1.1 2.0
H 3.4193 -1.6047 4.7233 -0.8 -0.5 0.0
C -4.2064 -0.4304 -2.0469 0.7 0.9 -0.4
H 2.7878 -2.3097 -5.0924 0.4 -0.3 0.8
C 2.3695 -1.3647 4.4399 1.8 1.7 0.1
O -0.0326 0.6096 -0.3953 -2.0 0.1 -0.4
H -6.4575 3.4102 -2.6057 0.2 0.4 0.3
H -3.9489 3.2772 -1.5148 0.3 3.0 0.6
C -1.5254 -1.5901 -3.0646 -3.2 -0.5 1.2
O 3.1102 -0.3016 -3.9426 0.2 -1.5 -0.1
H 3.2732 0.2826 0.1107 -0.3 -0.4 0.8
S 0.0189 -2.3651 -2.9395 0.1 0.3 -0.3
C 3.0861 -1.4109 -3.4433 -1.6 1.5 -2.3
C 2.1924 -1.3997 2.9842 1.0 2.1 -1.2
H 3.4521 0.5302 2.5491 -0.9 -1.2 0.6
H 0.6527 -3.0847 0.5014 0.2 0.8 0.1
```
Forces are in eV/Å.

In elementary charge units, the Löwdin charges are: H 0.124; H 0.135; C -0.041; H 0.118; H 0.082; O -0.017; H 0.124; C 0.021; H 0.096; H 0.067; C -0.256; H 0.092; C -0.077; C 0.010; C -0.177; C -0.069; H 0.080; C 0.012; C -0.165; C -0.458; H 0.066; O 0.060; C -0.025; H 0.071; C -0.318; N -0.102; C -0.055; N 0.046; C -0.029; H 0.102; C 0.022; H 0.142; C -0.063; O 0.045; H 0.069; H 0.084; C -0.682; O 0.118; H 0.132; S 1.135; C -0.498; C -0.284; H 0.126; H 0.138


2.
Density functional theory data (wB97M-V/def2-TZVPD) for one molecule with the formula C7H8OS at a distorted geometry.

multiplicity = 1
SMILES = C[C@@]12S[C@@H]1CC=CC2=O

The geometry in XYZ format:
```
17
Properties=species:S:1:pos:R:3:forces:R:3
H 1.8240 -0.4741 1.1154 0.1 -0.4 1.2
H 2.8501 -0.0127 -0.1453 -0.5 0.7 -0.1
C 0.8017 0.9998 0.0618 -0.6 -1.2 0.4
C -0.6626 0.5526 0.0052 -1.3 0.2 0.0
S -0.0209 1.3743 -1.4305 0.0 0.8 -1.9
H -1.7538 2.4077 0.5441 0.7 0.6 -0.6
H -1.5183 1.3470 1.8090 0.3 -0.4 1.7
H 0.8250 1.8690 0.7196 0.9 -0.4 0.1
C -1.6835 1.3622 0.7753 -1.4 -0.3 -0.7
C 1.3421 -1.3442 -0.6894 1.2 -2.1 -0.6
O -1.9616 -1.5320 0.1317 -0.5 1.2 -0.1
H -2.7299 1.0425 0.6180 0.6 -0.4 -0.1
H -0.2284 -2.6648 -1.4060 0.7 1.8 1.1
C 1.7869 -0.1797 0.0956 0.9 0.9 -0.2
C -0.9985 -0.9125 -0.2707 0.9 -0.6 1.1
H 2.0321 -2.1429 -1.0748 0.0 1.4 0.5
C 0.0958 -1.6921 -0.8590 -1.9 -1.7 -1.8
```
Forces are in eV/Å.

In elementary charge units, the Löwdin charges are: H 0.112; H 0.122; C -0.482; C -0.613; S 0.969; H 0.069; H 0.064; H 0.115; C -0.077; C -0.121; O 0.096; H 0.097; H 0.157; C -0.177; C -0.391; H 0.132; C -0.071


3.
Density functional theory data (wB97M-V/def2-TZVPD) for a 2-piece molecular cluster, C25H36F2N3O3 overall at a distorted geometry.

multiplicity = 1
total charge = +1

The geometry in XYZ format:
```
69
Properties=species:S:1:pos:R:3:forces:R:3
H -2.0422 1.3537 -1.0041 0.1 -0.6 1.6
C 0.4236 -1.5934 1.0722 -0.9 0.9 0.8
H 3.4363 -0.4450 4.6623 -2.9 0.2 -0.6
H -6.8791 -4.9647 0.4329 0.1 0.1 -0.1

• Activity:
Retype only the lines further above with the word "distorted" in them.

• Outcome:
Density functional theory data (wB97M-V/def2-TZVPD) for one molecule with the formula C19H18N2O4S at a distorted geometry.
Density functional theory data (wB97M-V/def2-TZVPD) for one molecule with the formula C7H8OS at a distorted geometry.
Density functional theory data (wB97M-V/def2-TZVPD) for a 2-piece molecular cluster, C25H36F2N3O3 overall at a distorted geometry.